To do:
Please start at the top of the entries further down and reproduce each line, ending with the one that has "15.".

Given:
- - -
Entry from OMol25: C22H22N4O3S2 in the gas phase in a non-equilibrium geometry (ωB97M-V/def2-TZVPD).

molar mass: 454.58 g mol⁻¹
structure (SMILES): COCCCn1c(SCc2nnc(-c3ccccc3)o2)nc2sc3c(c2c1=O)CCC3
F_max: 18.08 eV/Å
energy above the lowest of the compared OMol25 structures with the same formula, charge and spin: 1998.3 kJ/mol

ORCA input file:
```
! wB97M-V def2-TZVPD RIJCOSX def2/J DEFGRID3
* xyz 0 1
C -3.86485 -4.16056 -0.20999
O -4.10226 -2.81246 -0.19429
C -3.18548 -1.86064 -0.87601
C -3.53782 -0.56026 -0.38456
H -3.06026 0.00755 -1.16151
C -3.18547 -0.43024 1.14380
N -1.82589 -0.06612 1.35605
C -1.41299 1.39036 0.97333
N -0.25080 1.86753 1.14476
C 0.83048 0.89686 1.36037
C 0.52695 -0.23653 1.39303
C 1.71185 -1.03338 1.30264
C 2.90997 -0.47568 1.32068
S 2.48717 1.47209 1.47124
C 4.17967 -1.02859 1.35449
H 4.83872 -0.65844 0.88595
H 4.67264 -1.09170 2.52915
C 3.72689 -2.51933 1.24962
H 4.42133 -3.07676 1.70663
H 3.93405 -2.63069 0.23591
C 2.19563 -2.56280 1.33191
H 1.60961 -3.05070 0.81860
H 2.01263 -2.88807 2.45117
C -0.82033 -0.89914 1.50286
O -1.08431 -1.94747 1.14214
S -2.54762 2.54773 0.59430
C -1.61770 3.47355 -0.44094
C -0.44203 3.12787 -1.08315
N 0.63055 3.41321 -1.09437
N 1.51586 2.41770 -1.60250
C 0.74387 1.51206 -1.83553
C 1.13098 0.02468 -2.18262
C 2.55453 -0.17179 -2.18860
C 2.93205 -1.64232 -2.38247
C 2.00734 -2.62450 -2.34804
C 0.72897 -2.09555 -2.16653
C 0.27106 -0.99143 -2.23120
H -0.81013 -0.76859 -1.67582
H -0.04164 -3.06653 -2.17870
H 2.26744 -3.44859 -2.36496
H 4.08777 -1.79767 -2.32160
H 3.07525 0.68872 -1.95510
O -0.65190 1.63273 -1.41699
H -1.30228 4.34511 0.18724
H -2.43725 4.08653 -1.25951
H -3.57978 0.34844 1.58464
H -3.14541 -1.40511 1.66044
H -4.53301 -0.48408 -0.37088
H -3.46608 -1.91979 -2.04410
H -2.44721 -2.19576 -0.57118
H -2.90491 -4.30447 0.10028
H -4.65208 -4.67079 0.20043
H -3.71873 -4.43024 -1.44067
*
```

Atom-resolved charges from natural (NBO), all expressed in e:
1. C -0.1965
2. O -0.5830
3. C 0.0025
4. C -0.4414
5. H 0.2291
6. C -0.2175
7. N -0.4152
8. C 0.2594
9. N -0.5127
10. C 0.0820
11. C -0.2740
12. C -0.0255
13. C 0.0176
14. S 0.2455
15. C -0.3894
16. H 0.1875
17. H 0.1673
18. C -0.3879
19. H 0.2175
20. H 0.2013
21. C -0.3414
22. H 0.1953
23. H 0.1885
24. C 0.6856
25. O -0.6023
26. S 0.4110
27. C -0.6563
28. C 0.5047
29. N -0.2511
30. N -0.3040
31. C 0.5325
32. C -0.0767
33. C -0.1853
34. C -0.1722
35. C -0.1882
36. C -0.1737
37. C -0.1937
38. H 0.2185
39. H 0.1908
40. H 0.1732
41. H 0.2103
42. H 0.2396
43. O -0.5595
44. H 0.2688
45. H 0.2648
46. H 0.1938
47. H 0.2547
48. H 0.2226
49. H 0.1642
50. H 0.1560
51. H 0.1671
52. H 0.1921
53. H 0.1038

***

Entry from OMol25: a molecular structure, C26H75Cu3N3O14P in a non-equilibrium geometry (ωB97M-V/def2-TZVPD).

molar mass: 875.50 g mol⁻¹
F_max: 4.33 eV/Å
energy above the lowest of the compared OMol25 structures with the same formula, charge and spin: 91.5 kJ/mol

ORCA input file:
```
! wB97M-V def2-TZVPD RIJCOSX def2/J DEFGRID3
* xyz 0 1
Cu -24.31828 24.97002 -32.81889
Cu -23.94978 20.81784 -31.24728
Cu -21.39253 23.74373 -28.86655
P -23.05255 23.31193 -31.07951
O -23.96085 24.51377 -30.68496
O -22.89168 22.38325 -29.87301
O -21.62695 23.85045 -31.26212
O -23.79423 22.68161 -32.27696
C -25.78791 23.72481 -27.89852
C -26.57015 24.66733 -28.86358
O -26.43947 24.15949 -30.16590
H -25.67309 24.16631 -26.90857
H -24.88085 23.38652 -28.39942
H -26.36432 22.81610 -27.72505
H -26.16179 25.67775 -28.88342
H -27.58047 24.70947 -28.45670
H -25.52917 24.35057 -30.40350
C -22.64567 21.77156 -36.64993
C -22.86557 22.56288 -35.29567
O -23.97644 22.09896 -34.70619
H -22.04734 20.88543 -36.43813
H -21.86999 22.41719 -37.06175
H -23.50447 21.46415 -37.24664
H -23.16726 23.58993 -35.50121
H -22.15218 22.60504 -34.47263
H -23.89502 22.26344 -33.76390
C -20.25577 25.76689 -35.06052
C -21.11754 26.22893 -33.86120
O -22.01739 25.17767 -33.48847
H -19.33616 25.40696 -34.59914
H -19.95086 26.55205 -35.75237
H -20.60847 24.91108 -35.63609
- - -

Written answer:
Entry from OMol25: C22H22N4O3S2 in the gas phase in a non-equilibrium geometry (ωB97M-V/def2-TZVPD).

molar mass: 454.58 g mol⁻¹
structure (SMILES): COCCCn1c(SCc2nnc(-c3ccccc3)o2)nc2sc3c(c2c1=O)CCC3
F_max: 18.08 eV/Å
energy above the lowest of the compared OMol25 structures with the same formula, charge and spin: 1998.3 kJ/mol

ORCA input file:
```
! wB97M-V def2-TZVPD RIJCOSX def2/J DEFGRID3
* xyz 0 1
C -3.86485 -4.16056 -0.20999
O -4.10226 -2.81246 -0.19429
C -3.18548 -1.86064 -0.87601
C -3.53782 -0.56026 -0.38456
H -3.06026 0.00755 -1.16151
C -3.18547 -0.43024 1.14380
N -1.82589 -0.06612 1.35605
C -1.41299 1.39036 0.97333
N -0.25080 1.86753 1.14476
C 0.83048 0.89686 1.36037
C 0.52695 -0.23653 1.39303
C 1.71185 -1.03338 1.30264
C 2.90997 -0.47568 1.32068
S 2.48717 1.47209 1.47124
C 4.17967 -1.02859 1.35449
H 4.83872 -0.65844 0.88595
H 4.67264 -1.09170 2.52915
C 3.72689 -2.51933 1.24962
H 4.42133 -3.07676 1.70663
H 3.93405 -2.63069 0.23591
C 2.19563 -2.56280 1.33191
H 1.60961 -3.05070 0.81860
H 2.01263 -2.88807 2.45117
C -0.82033 -0.89914 1.50286
O -1.08431 -1.94747 1.14214
S -2.54762 2.54773 0.59430
C -1.61770 3.47355 -0.44094
C -0.44203 3.12787 -1.08315
N 0.63055 3.41321 -1.09437
N 1.51586 2.41770 -1.60250
C 0.74387 1.51206 -1.83553
C 1.13098 0.02468 -2.18262
C 2.55453 -0.17179 -2.18860
C 2.93205 -1.64232 -2.38247
C 2.00734 -2.62450 -2.34804
C 0.72897 -2.09555 -2.16653
C 0.27106 -0.99143 -2.23120
H -0.81013 -0.76859 -1.67582
H -0.04164 -3.06653 -2.17870
H 2.26744 -3.44859 -2.36496
H 4.08777 -1.79767 -2.32160
H 3.07525 0.68872 -1.95510
O -0.65190 1.63273 -1.41699
H -1.30228 4.34511 0.18724
H -2.43725 4.08653 -1.25951
H -3.57978 0.34844 1.58464
H -3.14541 -1.40511 1.66044
H -4.53301 -0.48408 -0.37088
H -3.46608 -1.91979 -2.04410
H -2.44721 -2.19576 -0.57118
H -2.90491 -4.30447 0.10028
H -4.65208 -4.67079 0.20043
H -3.71873 -4.43024 -1.44067
*
```

Atom-resolved charges from natural (NBO), all expressed in e:
1. C -0.1965
2. O -0.5830
3. C 0.0025
4. C -0.4414
5. H 0.2291
6. C -0.2175
7. N -0.4152
8. C 0.2594
9. N -0.5127
10. C 0.0820
11. C -0.2740
12. C -0.0255
13. C 0.0176
14. S 0.2455
15. C -0.3894